Work order >
Please reproduce the whole of the rows underneath with every line break kept.

Data >
<<<
w | An optimized crystal structure of Mn3P2O8. Source: the Materials Project database, functional GGA+U. Values from VASP.

Geometry as Quantum ESPRESSO input:
```
&SYSTEM
  ibrav = 0, nat = 26, ntyp = 3
/
ATOMIC_SPECIES
Mn 54.94 Mn.upf
O 16.00 O.upf
P 30.97 P.upf
CELL_PARAMETERS angstrom
-1.007 5.087 0.854
-7.929 -2.093 3.120
2.947 -0.238 7.328
ATOMIC_POSITIONS crystal
Mn 0.000 0.000 0.000
Mn 0.410 0.143 0.617
Mn 0.090 0.643 0.883
Mn 0.590 0.857 0.383
Mn 0.500 0.500 0.500
Mn 0.910 0.357 0.117
O 0.700 0.307 0.627
O 0.047 0.145 0.762
O 0.547 0.355 0.262
O 0.800 0.807 0.873
O 0.039 0.580 0.145
O 0.200 0.193 0.127
O 0.453 0.645 0.738
O 0.461 0.080 0.355
O 0.953 0.855 0.238
O 0.176 0.355 0.567
O 0.961 0.420 0.855
O 0.824 0.645 0.433
O 0.324 0.855 0.933
O 0.300 0.693 0.373
O 0.539 0.920 0.645
O 0.676 0.145 0.067
P 0.967 0.307 0.702
P 0.467 0.193 0.202
P 0.033 0.693 0.298
P 0.533 0.807 0.798
```



x | An optimized crystal structure of Mn3P2O8. Source: the Materials Project database, functional GGA+U. Values from VASP.

Geometry as Quantum ESPRESSO input:
```
&SYSTEM
  ibrav = 0, nat = 26, ntyp = 3
/
ATOMIC_SPECIES
O 16.00 O.upf
Mn 54.94 Mn.upf
P 30.97 P.upf
CELL_PARAMETERS angstrom
6.777 0.000 0.000
0.000 5.316 0.000
0.000 4.510 9.061
ATOMIC_POSITIONS crystal
O 0.209 0.631 0.355
O 0.373 0.141 0.683
O 0.486 0.264 0.363
O 0.291 0.631 0.855
O 0.627 0.859 0.317
O 0.127 0.141 0.183
O 0.986 0.736 0.137
O 0.657 0.130 0.911
O 0.343 0.870 0.089
O 0.014 0.264 0.863
O 0.843 0.130 0.411
O 0.873 0.859 0.817
O 0.514 0.736 0.637
O 0.709 0.369 0.145
O 0.157 0.870 0.589
O 0.791 0.369 0.645
Mn 0.500 0.500 0.500
Mn 0.844 0.785 0.628
Mn 0.000 0.500 0.000
Mn 0.656 0.785 0.128
Mn 0.156 0.215 0.372
Mn 0.344 0.215 0.872
P 0.667 0.156 0.307
P 0.333 0.844 0.693
P 0.167 0.844 0.193
P 0.833 0.156 0.807
```



Going by the energies, w is most stable and the next is 0.5 kJ/mol of atoms up.



w | An optimized crystal structure of Mn3P4O14. Source: the Materials Project database, functional GGA+U. Values from VASP.

Geometry as Quantum ESPRESSO input:
```
&SYSTEM
  ibrav = 0, nat = 42, ntyp = 3
/
ATOMIC_SPECIES
P 30.97 P.upf
Mn 54.94 Mn.upf
O 16.00 O.upf
CELL_PARAMETERS angstrom
-4.295 6.708 -0.307
-5.614 -0.048 6.189
7.556 6.099 2.765
ATOMIC_POSITIONS crystal
P 0.490 0.073 0.202
P 0.009 0.927 0.298
P 0.610 0.308 0.701
P 0.990 0.075 0.703
P 0.391 0.693 0.299
P 0.109 0.307 0.201
P 0.890 0.692 0.799
P 0.510 0.926 0.797
Mn 0.500 0.000 0.500
Mn 0.439 0.338 0.026
Mn 0.941 0.337 0.526
Mn 0.999 0.000 0.000
Mn 0.060 0.663 0.474
Mn 0.560 0.663 0.975
O 0.474 0.230 0.638
O 0.010 0.885 0.138
O 0.930 0.814 0.358
O 0.029 0.421 0.365
O 0.777 0.130 0.693
O 0.079 0.873 0.617
O 0.675 0.417 0.629
O 0.723 0.870 0.807
O 0.578 0.871 0.117
O 0.971 0.576 0.635
O 0.223 0.871 0.308
O 0.490 0.115 0.362
O 0.510 0.883 0.638
O 0.067 0.190 0.643
O 0.529 0.424 0.865
O 0.421 0.127 0.883
O 0.973 0.230 0.138
O 0.327 0.582 0.370
O 0.173 0.418 0.130
O 0.990 0.117 0.862
O 0.433 0.811 0.857
O 0.026 0.770 0.862
O 0.277 0.129 0.192
O 0.527 0.771 0.362
O 0.569 0.187 0.142
O 0.471 0.579 0.135
O 0.825 0.583 0.871
O 0.922 0.129 0.383
```



x | An optimized crystal structure of Mn3P4O14. Source: the Materials Project database, functional GGA+U. Values from VASP.

Geometry as Quantum ESPRESSO input:
```
&SYSTEM
  ibrav = 0, nat = 42, ntyp = 3
/
ATOMIC_SPECIES
O 16.00 O.upf
P 30.97 P.upf
Mn 54.94 Mn.upf
CELL_PARAMETERS angstrom
-1.830 -0.354 5.746
5.617 -11.951 -1.847
6.083 1.925 4.343
ATOMIC_POSITIONS crystal
O 0.815 0.575 0.891
O 0.903 0.805 0.564
O 0.196 0.656 0.417
O 0.027 0.234 0.128
O 0.498 0.851 0.879
O 0.176 0.426 0.121
O 0.696 0.155 0.417
O 0.676 0.926 0.121
O 0.761 0.137 0.833
O 0.620 0.688 0.419
O 0.120 0.188 0.419
O 0.233 0.851 0.201
O 0.825 0.356 0.575
O 0.733 0.351 0.201
O 0.505 0.444 0.764
O 0.998 0.351 0.879
O 0.491 0.265 0.859
O 0.315 0.075 0.891
O 0.325 0.856 0.575
O 0.982 0.052 0.226
O 0.991 0.765 0.859
O 0.261 0.637 0.833
O 0.482 0.552 0.226
O 0.977 0.658 0.135
O 0.527 0.734 0.128
>>>

Completed >
w | An optimized crystal structure of Mn3P2O8. Source: the Materials Project database, functional GGA+U. Values from VASP.

Geometry as Quantum ESPRESSO input:
```
&SYSTEM
  ibrav = 0, nat = 26, ntyp = 3
/
ATOMIC_SPECIES
Mn 54.94 Mn.upf
O 16.00 O.upf
P 30.97 P.upf
CELL_PARAMETERS angstrom
-1.007 5.087 0.854
-7.929 -2.093 3.120
2.947 -0.238 7.328
ATOMIC_POSITIONS crystal
Mn 0.000 0.000 0.000
Mn 0.410 0.143 0.617
Mn 0.090 0.643 0.883
Mn 0.590 0.857 0.383
Mn 0.500 0.500 0.500
Mn 0.910 0.357 0.117
O 0.700 0.307 0.627
O 0.047 0.145 0.762
O 0.547 0.355 0.262
O 0.800 0.807 0.873
O 0.039 0.580 0.145
O 0.200 0.193 0.127
O 0.453 0.645 0.738
O 0.461 0.080 0.355
O 0.953 0.855 0.238
O 0.176 0.355 0.567
O 0.961 0.420 0.855
O 0.824 0.645 0.433
O 0.324 0.855 0.933
O 0.300 0.693 0.373
O 0.539 0.920 0.645
O 0.676 0.145 0.067
P 0.967 0.307 0.702
P 0.467 0.193 0.202
P 0.033 0.693 0.298
P 0.533 0.807 0.798
```



x | An optimized crystal structure of Mn3P2O8. Source: the Materials Project database, functional GGA+U. Values from VASP.

Geometry as Quantum ESPRESSO input:
```
&SYSTEM
  ibrav = 0, nat = 26, ntyp = 3
/
ATOMIC_SPECIES
O 16.00 O.upf
Mn 54.94 Mn.upf
P 30.97 P.upf
CELL_PARAMETERS angstrom
6.777 0.000 0.000
0.000 5.316 0.000
0.000 4.510 9.061
ATOMIC_POSITIONS crystal
O 0.209 0.631 0.355
O 0.373 0.141 0.683
O 0.486 0.264 0.363
O 0.291 0.631 0.855
O 0.627 0.859 0.317
O 0.127 0.141 0.183
O 0.986 0.736 0.137
O 0.657 0.130 0.911
O 0.343 0.870 0.089
O 0.014 0.264 0.863
O 0.843 0.130 0.411
O 0.873 0.859 0.817
O 0.514 0.736 0.637
O 0.709 0.369 0.145
O 0.157 0.870 0.589
O 0.791 0.369 0.645
Mn 0.500 0.500 0.500
Mn 0.844 0.785 0.628
Mn 0.000 0.500 0.000
Mn 0.656 0.785 0.128
Mn 0.156 0.215 0.372
Mn 0.344 0.215 0.872
P 0.667 0.156 0.307
P 0.333 0.844 0.693
P 0.167 0.844 0.193
P 0.833 0.156 0.807
```



Going by the energies, w is most stable and the next is 0.5 kJ/mol of atoms up.



w | An optimized crystal structure of Mn3P4O14. Source: the Materials Project database, functional GGA+U. Values from VASP.

Geometry as Quantum ESPRESSO input:
```
&SYSTEM
  ibrav = 0, nat = 42, ntyp = 3
/
ATOMIC_SPECIES
P 30.97 P.upf
Mn 54.94 Mn.upf
O 16.00 O.upf
CELL_PARAMETERS angstrom
-4.295 6.708 -0.307
-5.614 -0.048 6.189
7.556 6.099 2.765
ATOMIC_POSITIONS crystal
P 0.490 0.073 0.202
P 0.009 0.927 0.298
P 0.610 0.308 0.701
P 0.990 0.075 0.703
P 0.391 0.693 0.299
P 0.109 0.307 0.201
P 0.890 0.692 0.799
P 0.510 0.926 0.797
Mn 0.500 0.000 0.500
Mn 0.439 0.338 0.026
Mn 0.941 0.337 0.526
Mn 0.999 0.000 0.000
Mn 0.060 0.663 0.474
Mn 0.560 0.663 0.975
O 0.474 0.230 0.638
O 0.010 0.885 0.138
O 0.930 0.814 0.358
O 0.029 0.421 0.365
O 0.777 0.130 0.693
O 0.079 0.873 0.617
O 0.675 0.417 0.629
O 0.723 0.870 0.807
O 0.578 0.871 0.117
O 0.971 0.576 0.635
O 0.223 0.871 0.308
O 0.490 0.115 0.362
O 0.510 0.883 0.638
O 0.067 0.190 0.643
O 0.529 0.424 0.865
O 0.421 0.127 0.883
O 0.973 0.230 0.138
O 0.327 0.582 0.370
O 0.173 0.418 0.130
O 0.990 0.117 0.862
O 0.433 0.811 0.857
O 0.026 0.770 0.862
O 0.277 0.129 0.192
O 0.527 0.771 0.362
O 0.569 0.187 0.142
O 0.471 0.579 0.135
O 0.825 0.583 0.871
O 0.922 0.129 0.383
```



x | An optimized crystal structure of Mn3P4O14. Source: the Materials Project database, functional GGA+U. Values from VASP.

Geometry as Quantum ESPRESSO input:
```
&SYSTEM
  ibrav = 0, nat = 42, ntyp = 3
/
ATOMIC_SPECIES
O 16.00 O.upf
P 30.97 P.upf
Mn 54.94 Mn.upf
CELL_PARAMETERS angstrom
-1.830 -0.354 5.746
5.617 -11.951 -1.847
6.083 1.925 4.343
ATOMIC_POSITIONS crystal
O 0.815 0.575 0.891
O 0.903 0.805 0.564
O 0.196 0.656 0.417
O 0.027 0.234 0.128
O 0.498 0.851 0.879
O 0.176 0.426 0.121
O 0.696 0.155 0.417
O 0.676 0.926 0.121
O 0.761 0.137 0.833
O 0.620 0.688 0.419
O 0.120 0.188 0.419
O 0.233 0.851 0.201
O 0.825 0.356 0.575
O 0.733 0.351 0.201
O 0.505 0.444 0.764
O 0.998 0.351 0.879
O 0.491 0.265 0.859
O 0.315 0.075 0.891
O 0.325 0.856 0.575
O 0.982 0.052 0.226
O 0.991 0.765 0.859
O 0.261 0.637 0.833
O 0.482 0.552 0.226
O 0.977 0.658 0.135
O 0.527 0.734 0.128